== Exercise ==
Now restate the whole of the material underneath without additions.

== Given ==
-- begin --
Entry 1:
C17H23N3O4S | the ωB97M-V functional and the def2-TZVPD basis

Output
- Molar mass: 365.46 g mol⁻¹
- Total charge: 0
- Relative energy (zero: lowest compared OMol25 entry of this formula, charge and spin): 20.22 kcal per mole
- LUMO: 0.49 eV
- Kohn-Sham gap: 9.2052 eV

Last column: Löwdin charge in e.
Element x y z (Å)
C 0.88 -1.53 -4.37  -0.0975
C -0.58 -1.12 -4.54  -0.2202
C -1.35 -1.15 -3.22  -0.1411
N -0.85 -0.18 -2.27  0.0306
C -1.11 1.16 -2.24  -0.2873
C -2.01 1.88 -3.19  -0.0954
C -3.17 2.51 -2.42  -0.0844
C -4.09 1.45 -1.86  -0.5223
O -4.06 0.28 -2.12  0.1104
O -5.00 1.97 -1.02  0.1179
N -0.51 1.77 -1.25  0.1791
C 0.20 0.82 -0.59  -0.1984
C 1.02 0.91 0.53  0.0240
C 1.61 -0.26 0.96  -0.2839
S 2.66 -0.16 2.40  0.6833
O 3.12 -1.49 2.74  -0.2856
O 3.66 0.85 2.21  -0.2831
N 1.56 0.43 3.53  -0.2365
C 0.70 -0.61 4.05  -0.2007
C 1.41 -1.20 5.28  -0.1606
C 2.47 -0.14 5.65  -0.1578
C 2.19 1.03 4.70  -0.1985
C 1.41 -1.49 0.35  -0.0625
C 0.60 -1.60 -0.76  0.0003
C -0.01 -0.44 -1.23  -0.1517
H 0.95 -2.55 -3.99  0.0730
H 1.39 -0.87 -3.67  0.0725
H 1.40 -1.48 -5.32  0.0714
H -1.07 -1.80 -5.24  0.1106
H -0.62 -0.11 -4.96  0.1033
H -1.25 -2.14 -2.76  0.1268
H -2.41 -0.96 -3.38  0.1086
H -2.40 1.19 -3.94  0.1101
H -1.44 2.67 -3.67  0.1290
H -2.79 3.11 -1.59  0.1261
H -3.76 3.16 -3.06  0.1320
H -5.58 1.28 -0.67  0.1337
H 1.21 1.84 1.03  0.1244
H 0.53 -1.35 3.26  0.1116
H -0.26 -0.16 4.32  0.1233
H 0.71 -1.38 6.09  0.1035
H 1.90 -2.14 5.01  0.0999
H 2.40 0.16 6.70  0.1045
H 3.47 -0.53 5.47  0.1069
H 3.08 1.55 4.38  0.1091
H 1.48 1.74 5.14  0.1245
H 1.91 -2.35 0.76  0.1095
H 0.44 -2.55 -1.24  0.1075

***

Entry 2:
C26H37As2BCdF2O9S2Si2 | the ωB97M-V functional and the def2-TZVPD basis

Output
- Molar mass: 924.94 g mol⁻¹
- Total charge: -2
- Relative energy (zero: lowest compared OMol25 entry of this formula, charge and spin): 35.11 kcal per mole
- LUMO: 3.97 eV
- Kohn-Sham gap: 5.7070 eV

Last column: Löwdin charge in e.
Element x y z (Å)
Cd -0.77 -1.77 1.52  1.3837
C -4.49 -2.26 0.66  -0.2149
Si -4.20 -0.39 0.99  0.5561
C -4.51 -0.07 2.85  -0.2456
C -5.49 0.70 0.07  -0.3073
C -6.86 0.88 0.13  -0.1047
C -7.47 1.85 -0.65  -0.1171
C -6.71 2.63 -1.50  -0.1179
C -5.33 2.46 -1.57  -0.1053
C -4.72 1.51 -0.79  -0.3094
Si -2.90 0.93 -0.50  0.5921
C -2.24 0.19 -2.15  -0.2008
C -1.74 2.35 0.01  -0.2068
H -5.51 -2.55 0.92  0.0142
H -3.81 -2.86 1.26  0.0024
H -4.33 -2.51 -0.38  0.0150
H -5.53 -0.30 3.12  0.0197
H -4.32 0.98 3.08  -0.0048
H -3.84 -0.66 3.47  -0.0545
H -7.46 0.27 0.79  0.0947
H -8.54 2.00 -0.59  0.0887
H -7.20 3.39 -2.11  0.0884
H -4.75 3.08 -2.24  0.0956
H -3.01 0.12 -2.91  0.0192
H -1.85 -0.81 -1.96  -0.0167
H -1.42 0.79 -2.53  0.0073
H -2.05 3.30 -0.41  0.0192
H -0.73 2.14 -0.35  -0.0196
H -1.70 2.45 1.08  -0.0373
C -0.55 -3.30 -2.49  -0.0847
O -0.27 -2.28 -1.55  -0.2221
C 0.84 -2.58 -0.73  -0.5143
O 0.76 -3.75 -0.08  0.0722
C 1.73 -1.62 -0.51  -0.4219
C 2.91 -1.72 0.32  -0.4410
As 4.59 -1.84 -0.56  1.3286
C 4.09 -3.07 -2.05  -0.3080
C 4.33 -0.07 -1.47  -0.2983
C 3.28 0.77 -1.27  -0.3032
As 1.42 0.14 -1.32  1.3503
C 1.62 -0.42 -3.23  -0.2604
C 3.33 2.21 -1.36  -0.5413
O 2.48 2.82 -1.99  0.0496
O 4.28 2.94 -0.71  -0.0350
C 5.00 2.33 0.34  -0.0489
C 5.56 0.36 -2.07  -0.5537
O 6.65 -0.19 -1.95  0.0247
O 5.39 1.40 -2.95  -0.0563
C 6.54 1.82 -3.64  -0.0710
C 3.01 -0.94 1.47  -0.6290
O 4.03 -0.74 2.13  -0.0605
O 1.81 -0.32 1.81  -0.1970
C 1.86 0.54 2.93  -0.1180
H -1.53 -3.07 -2.92  0.0880
H -0.57 -4.27 -2.00  0.0883
H 0.20 -3.31 -3.29  0.0865
H 4.30 -4.10 -1.75  0.0063
H 4.68 -2.85 -2.94  0.0065
H 3.03 -2.99 -2.28  -0.0084
H 2.51 -1.03 -3.35  0.0108
H 1.71 0.47 -3.84  0.0173
H 0.74 -0.99 -3.54  0.0018
H 5.52 3.14 0.86  0.0921
H 5.74 1.60 -0.01  0.0870
H 4.33 1.82 1.04  0.0918
H 6.33 2.80 -4.06  0.0904
H 6.78 1.11 -4.44  0.0924
H 7.39 1.87 -2.96  0.0899
H 1.12 1.33 2.75  0.0371
H 2.87 0.96 3.01  0.0768
H 1.62 -0.01 3.84  0.0899
C -0.38 2.06 6.13  -0.1800
O -0.78 0.71 6.08  -0.2737
C -1.27 0.24 4.91  -1.4039
-- stop --

== Completed ==
Entry 1:
C17H23N3O4S | the ωB97M-V functional and the def2-TZVPD basis

Output
- Molar mass: 365.46 g mol⁻¹
- Total charge: 0
- Relative energy (zero: lowest compared OMol25 entry of this formula, charge and spin): 20.22 kcal per mole
- LUMO: 0.49 eV
- Kohn-Sham gap: 9.2052 eV

Last column: Löwdin charge in e.
Element x y z (Å)
C 0.88 -1.53 -4.37  -0.0975
C -0.58 -1.12 -4.54  -0.2202
C -1.35 -1.15 -3.22  -0.1411
N -0.85 -0.18 -2.27  0.0306
C -1.11 1.16 -2.24  -0.2873
C -2.01 1.88 -3.19  -0.0954
C -3.17 2.51 -2.42  -0.0844
C -4.09 1.45 -1.86  -0.5223
O -4.06 0.28 -2.12  0.1104
O -5.00 1.97 -1.02  0.1179
N -0.51 1.77 -1.25  0.1791
C 0.20 0.82 -0.59  -0.1984
C 1.02 0.91 0.53  0.0240
C 1.61 -0.26 0.96  -0.2839
S 2.66 -0.16 2.40  0.6833
O 3.12 -1.49 2.74  -0.2856
O 3.66 0.85 2.21  -0.2831
N 1.56 0.43 3.53  -0.2365
C 0.70 -0.61 4.05  -0.2007
C 1.41 -1.20 5.28  -0.1606
C 2.47 -0.14 5.65  -0.1578
C 2.19 1.03 4.70  -0.1985
C 1.41 -1.49 0.35  -0.0625
C 0.60 -1.60 -0.76  0.0003
C -0.01 -0.44 -1.23  -0.1517
H 0.95 -2.55 -3.99  0.0730
H 1.39 -0.87 -3.67  0.0725
H 1.40 -1.48 -5.32  0.0714
H -1.07 -1.80 -5.24  0.1106
H -0.62 -0.11 -4.96  0.1033
H -1.25 -2.14 -2.76  0.1268
H -2.41 -0.96 -3.38  0.1086
H -2.40 1.19 -3.94  0.1101
H -1.44 2.67 -3.67  0.1290
H -2.79 3.11 -1.59  0.1261
H -3.76 3.16 -3.06  0.1320
H -5.58 1.28 -0.67  0.1337
H 1.21 1.84 1.03  0.1244
H 0.53 -1.35 3.26  0.1116
H -0.26 -0.16 4.32  0.1233
H 0.71 -1.38 6.09  0.1035
H 1.90 -2.14 5.01  0.0999
H 2.40 0.16 6.70  0.1045
H 3.47 -0.53 5.47  0.1069
H 3.08 1.55 4.38  0.1091
H 1.48 1.74 5.14  0.1245
H 1.91 -2.35 0.76  0.1095
H 0.44 -2.55 -1.24  0.1075

***

Entry 2:
C26H37As2BCdF2O9S2Si2 | the ωB97M-V functional and the def2-TZVPD basis

Output
- Molar mass: 924.94 g mol⁻¹
- Total charge: -2
- Relative energy (zero: lowest compared OMol25 entry of this formula, charge and spin): 35.11 kcal per mole
- LUMO: 3.97 eV
- Kohn-Sham gap: 5.7070 eV

Last column: Löwdin charge in e.
Element x y z (Å)
Cd -0.77 -1.77 1.52  1.3837
C -4.49 -2.26 0.66  -0.2149
Si -4.20 -0.39 0.99  0.5561
C -4.51 -0.07 2.85  -0.2456
C -5.49 0.70 0.07  -0.3073
C -6.86 0.88 0.13  -0.1047
C -7.47 1.85 -0.65  -0.1171
C -6.71 2.63 -1.50  -0.1179
C -5.33 2.46 -1.57  -0.1053
C -4.72 1.51 -0.79  -0.3094
Si -2.90 0.93 -0.50  0.5921
C -2.24 0.19 -2.15  -0.2008
C -1.74 2.35 0.01  -0.2068
H -5.51 -2.55 0.92  0.0142
H -3.81 -2.86 1.26  0.0024
H -4.33 -2.51 -0.38  0.0150
H -5.53 -0.30 3.12  0.0197
H -4.32 0.98 3.08  -0.0048
H -3.84 -0.66 3.47  -0.0545
H -7.46 0.27 0.79  0.0947
H -8.54 2.00 -0.59  0.0887
H -7.20 3.39 -2.11  0.0884
H -4.75 3.08 -2.24  0.0956
H -3.01 0.12 -2.91  0.0192
H -1.85 -0.81 -1.96  -0.0167
H -1.42 0.79 -2.53  0.0073
H -2.05 3.30 -0.41  0.0192
H -0.73 2.14 -0.35  -0.0196
H -1.70 2.45 1.08  -0.0373
C -0.55 -3.30 -2.49  -0.0847
O -0.27 -2.28 -1.55  -0.2221
C 0.84 -2.58 -0.73  -0.5143
O 0.76 -3.75 -0.08  0.0722
C 1.73 -1.62 -0.51  -0.4219
C 2.91 -1.72 0.32  -0.4410
As 4.59 -1.84 -0.56  1.3286
C 4.09 -3.07 -2.05  -0.3080
C 4.33 -0.07 -1.47  -0.2983
C 3.28 0.77 -1.27  -0.3032
As 1.42 0.14 -1.32  1.3503
C 1.62 -0.42 -3.23  -0.2604
C 3.33 2.21 -1.36  -0.5413
O 2.48 2.82 -1.99  0.0496
O 4.28 2.94 -0.71  -0.0350
C 5.00 2.33 0.34  -0.0489
C 5.56 0.36 -2.07  -0.5537
O 6.65 -0.19 -1.95  0.0247
O 5.39 1.40 -2.95  -0.0563
C 6.54 1.82 -3.64  -0.0710
C 3.01 -0.94 1.47  -0.6290
O 4.03 -0.74 2.13  -0.0605
O 1.81 -0.32 1.81  -0.1970
C 1.86 0.54 2.93  -0.1180
H -1.53 -3.07 -2.92  0.0880
H -0.57 -4.27 -2.00  0.0883
H 0.20 -3.31 -3.29  0.0865
H 4.30 -4.10 -1.75  0.0063
H 4.68 -2.85 -2.94  0.0065
H 3.03 -2.99 -2.28  -0.0084
H 2.51 -1.03 -3.35  0.0108
H 1.71 0.47 -3.84  0.0173
H 0.74 -0.99 -3.54  0.0018
H 5.52 3.14 0.86  0.0921
H 5.74 1.60 -0.01  0.0870
H 4.33 1.82 1.04  0.0918
H 6.33 2.80 -4.06  0.0904
H 6.78 1.11 -4.44  0.0924
H 7.39 1.87 -2.96  0.0899
H 1.12 1.33 2.75  0.0371
H 2.87 0.96 3.01  0.0768
H 1.62 -0.01 3.84  0.0899
C -0.38 2.06 6.13  -0.1800
O -0.78 0.71 6.08  -0.2737
C -1.27 0.24 4.91  -1.4039